Sommarklubb at Holsby

by Cheryl Thomas

It was 10:00 on a Monday morning, when suddenly around 40 kids from all over the neighborhood began pouring into our yard! WHAT was going on at the Thomas house?

It was the first day of Sommarklubb! Three years ago we decided to have a five-day club in my friend’s yard in order to gather kids from the neighborhood, play games, do crafts and tell Bible stories.

As we walked around the neighborhood inviting kids, my heart began to sink. It seemed like everyone was on vacation or had other plans! I thought maybe six kids would come, but I hoped for 10. We prayed and kept inviting people and the kids came! We had around 20 kids that year. Last year we averaged around 30 kids. Linnea Blomgren (2015-16 alum) came back to help— a huge blessing! This year we had 50 by the last day! Wow! Praise God! Half of the kids that came were from non-Christian homes! Because the club was in a backyard instead of a church, they felt comfortable coming.

Occasionally a small airplane would fly in to deliver special messages.

Our theme this year was, “Treasure Hunt!” We began each day with some fun songs. Then the treasure chest was opened and the treasure of the day was taken out which led into the Bible story. We had three wonderful volunteers from CEF (Child Evangelism Fellowship) teaching the Bible stories and leading the games. Following the story we had craft time, led by Elke. This was probably one of the favorite things about Sommarklubb for the kids! We ended each morning with fika and games! On the last day, a man from our church came to share his testimony and explain why Jesus was his biggest treasure. We ended the day with a treasure hunt and a visit from a clown. What fun!

Ways that God worked:

  • There was no rain during the daily two hours of club time— even when it was forecasted to rain!
  • There was one little girl in Emmalise’s class that we especially wanted to come. We will call her Anna. We had invited her each year, but she never came. After the first day, Ember asked me if Anna was going to come. I told her I didn’t know and then we prayed that she would come. That afternoon Maria, one of the CEF volunteers, met her on the road while she was on a walk. Anna started talking with her and so Maria told her about the club. Anna was excited to come and, later in the day when Emmalise saw her walking past our house, we went out to talk with her and her mom about it. She came the next day and each day after that! God worked that out!

Please pray that the songs that the kids sang during the club would continue to go through their minds. Pray that they would know the love they felt here was because of Jesus. AND PRAY about hosting a small club in YOUR back yard next summer! If you are unsure about teaching the lessons, there are CEF workers in Europe and North America who would love to work with you and to teach!

Here are the websites for CEF:

01. September 2017 by Cheryl Thomas
Categories: Uncategorized | 1 comment

**Calculated crystals that have nothing to do with the article**
[1]
The following is a theoretical powder diffraction line list of Pr3Tm3Mn23. It was derived from a cell relaxed with PBE, using Cu Kα X-rays.
Kinematic intensities with the Lorentz-polarization factor, no thermal factor.

Largest 10 diffraction maxima, most intense first, 5° ≤ 2θ ≤ 70°:
hkl	2θ (°)	I (rel.)
2 0 8	41.61	1000
0 0 9	38.06	557
3 0 3	38.11	505
2 1 1	31.77	306
0 0 6	25.13	294
0 1 8	35.82	272
0 2 4	29.09	215
0 3 12	64.36	201
0 3 6	44.27	190
3 2 7	61.89	177

Crystal structure
abc: 8.6724 8.6724 21.3083
angles: 90.00 90.00 120.00
Space group R3m (No. 160, hexagonal axes)
Asymmetric unit:
Pr 0.1992 0.3983 0.0000 (multiplicity 9)
Tm 0.0578 0.5289 0.1366 (multiplicity 9)
Mn 0.0000 0.0000 0.0213 (multiplicity 3)
Mn 0.0000 0.0000 0.2223 (multiplicity 3)
Mn 0.0000 0.0000 0.5772 (multiplicity 3)
Mn 0.0000 0.0000 0.7792 (multiplicity 3)
Mn 0.0000 0.0000 0.8980 (multiplicity 3)
Mn 0.0047 0.5024 0.4027 (multiplicity 9)
Mn 0.0125 0.5062 0.5254 (multiplicity 9)
Mn 0.0978 0.1956 0.1264 (multiplicity 9)
Mn 0.1701 0.3402 0.2303 (multiplicity 9)
Mn 0.1716 0.3432 0.6063 (multiplicity 9)
Mn 0.1934 0.0967 0.6754 (multiplicity 9)

---

[2]
The following is a theoretical powder diffraction line list of Zr3TaMn8. It was derived from a cell relaxed with PBE, using Cu Kα X-rays.
Kinematic intensities with the Lorentz-polarization factor, no thermal factor.

Largest 10 diffraction maxima, most intense first, 5° ≤ 2θ ≤ 70°:
hkl	2θ (°)	I (rel.)
2 0 2	42.96	1000
1 1 0	36.39	557
3 0 0	65.49	195
0 2 4	44.97	195
0 1 2	22.05	81
2 0 14	69.99	72
0 0 3	10.97	63
1 0 1	21.11	37
1 0 4	25.51	23
0 2 10	57.54	22

Crystal structure
abc: 4.9357 4.9357 24.2033
angles: 90.00 90.00 120.00
Space group R3m (No. 160, hexagonal axes)
Asymmetric unit:
Zr 0.0000 0.0000 0.0000 (multiplicity 3)
Zr 0.0000 0.0000 0.1257 (multiplicity 3)
Zr 0.0000 0.0000 0.6243 (multiplicity 3)
Ta 0.0000 0.0000 0.5000 (multiplicity 3)
Mn 0.0000 0.0000 0.3125 (multiplicity 3)
Mn 0.0000 0.0000 0.8127 (multiplicity 3)
Mn 0.0020 0.5010 0.0639 (multiplicity 9)
Mn 0.1671 0.3343 0.8945 (multiplicity 9)
**Here the article continues**

One Comment

  1. This sounds like a wonderful program. It is exciting watching the ways God has continued to develop the programs at Holsby since I was a student and then staff member. Maybe one day I will return and bring my family to help with a program such as this. Blessings, Jennifer Keator (nee Plain)